**File**
____________
Entry 1:
Material: RbHgPAu2
Method: DFT, GGA-PBE
State: optimized geometry Values from VASP.

```
&SYSTEM
  ibrav = 0, nat = 5, ntyp = 4
/
ATOMIC_SPECIES
Hg 200.59 Hg.upf
P 30.97 P.upf
Au 196.97 Au.upf
Rb 85.47 Rb.upf
CELL_PARAMETERS angstrom
4.946 0.000 0.000
0.000 4.946 0.000
0.000 0.000 5.632
ATOMIC_POSITIONS angstrom
Hg 0.000 0.000 2.816
P 0.000 0.000 0.000
Au 0.000 2.473 0.000
Au 2.473 0.000 0.000
Rb 2.473 2.473 2.816
```

Output
Formation enthalpy at 0 K = -86 meV per atom
Mass density = 8.6 g/cm³
Space-group type = P4/mmm, No. 123
Excess energy over the best structure of this formula in the dataset = 0.00 eV per formula unit
Size of the total moment = 0.000 μB per formula unit


Entry 2:
Material: NbCdH
Method: DFT, GGA-PBE
State: optimized geometry Values from VASP.

```
&SYSTEM
  ibrav = 0, nat = 12, ntyp = 3
/
ATOMIC_SPECIES
Nb 92.91 Nb.upf
Cd 112.41 Cd.upf
H 1.01 H.upf
CELL_PARAMETERS angstrom
-6.554 3.000 0.008
-1.563 -3.415 0.445
0.324 0.691 6.438
ATOMIC_POSITIONS angstrom
Nb -6.717 0.464 4.078
Nb -4.462 1.077 0.634
Nb -1.075 -0.188 2.814
Nb -3.330 -0.802 6.258
Cd -3.811 1.247 4.225
Cd -3.981 -0.972 2.667
Cd -0.462 -0.098 5.660
Cd -7.330 0.373 1.231
H -5.902 2.066 3.162
H -2.770 0.258 0.290
H -5.022 0.017 6.602
H -1.890 -1.790 3.730
```

Output
Mass density = 7.8 g/cm³
Space-group type = Pnma, No. 62
Excess energy over the best structure of this formula in the dataset = 0.55 eV per formula unit
Size of the total moment = 0.000 μB per formula unit


Entry 3:
Material: PmNd2Mg4
Method: DFT, GGA-PBE
State: optimized geometry Values from VASP.

```
&SYSTEM
  ibrav = 0, nat = 7, ntyp = 3
/
ATOMIC_SPECIES
Mg 24.30 Mg.upf
Nd 144.24 Nd.upf
Pm 145.00 Pm.upf
CELL_PARAMETERS angstrom
-1.535 1.807 -5.094
-5.333 0.354 1.733
4.722 6.703 4.054
ATOMIC_POSITIONS angstrom
Mg -2.667 0.177 0.866
Mg -2.626 5.972 -0.189
Mg -0.768 0.904 -2.547
Mg 0.478 2.893 0.882
Nd 1.011 6.114 1.865
Nd -3.158 2.750 -1.171
Pm 0.000 0.000 0.000
```

Output
Formation enthalpy at 0 K = 545 meV per atom
Mass density = 3.4 g/cm³
Space-group type = I4/mmm, No. 139
Excess energy over the best structure of this formula in the dataset = 3.03 eV per formula unit
Size of the total moment = 0.000 μB per formula unit


Entry 4:
Material: Li2YFe2
Method: DFT, GGA-PBE
State: optimized geometry Values from VASP.

```
&SYSTEM
  ibrav = 0, nat = 5, ntyp = 3
/
ATOMIC_SPECIES
Fe 55.84 Fe.upf
Li 6.94 Li.upf
Y 88.91 Y.upf
CELL_PARAMETERS angstrom
-2.012 2.012 4.999
2.012 -2.012 4.999
2.012 2.012 -4.999
ATOMIC_POSITIONS angstrom
Fe 0.000 2.012 2.500
Fe 2.012 0.000 2.500
Li 0.000 0.000 3.835
Li 0.000 0.000 6.163
Y 0.000 0.000 0.000
```

Output
Formation enthalpy at 0 K = 410 meV per atom
Mass density = 4.4 g/cm³
Space-group type = I4/mmm, No. 139
Size of the total moment = 3.859 μB per formula unit


Calculated Fermi-level density of states, 0.091; 0.163; 1.201; 0.903 states/eV/atom (same order as the records).
Calculated total DFT energy (no corrections), -2.7332; -4.6059; -2.4072; -5.0337 eV per atom (same order as the records).
____________

**Brief**
Search the entries earlier on for the word "optimized" and print each line that has it.

**Solution**
State: optimized geometry Values from VASP.
State: optimized geometry Values from VASP.
State: optimized geometry Values from VASP.
State: optimized geometry Values from VASP.